Lifelong Jewish Learning is a core value upheld by FJC and Reform Judaism, both of which understand that developing and maintaining a personal and relevant connection to our Jewish heritage must be based on being educated and informed.

On any given day at Falmouth Jewish Congregation, there is active learning taking place. You might hear Hebrew, Yiddish, laughter, impassioned discussion, the soundtrack of a film, the voice of a teacher, the opinion of a student, the enthusiasm of a child, a passage of Torah in our worship service. Ours is an active and engaged community, indeed.
Ongoing Lifelong Learning
- Saturday morning Torah Study with Rabbi Lieberman, including monthly Bagels Before Torah Study
- Text Tuesday with Rabbi Lieberman
- Beginning Adult Hebrew with Pamela Rothstein
- Intermediate Adult Hebrew with Pamela Rothstein
- Parent Learning in Beit Sefer
FJC Summer Jewish Film Festival
Our popular Summer Jewish Film Series offers award-wining films and discussions that are entertaining, educational, and thought-provoking for both members and a large number of the community. The film selection ranged from feature films to documentaries and, as usual, included recent Israeli award winners.
== Attached: calculated crystals ==
1.
# Y7Ho6
Theoretical powder X-ray diffraction pattern, λ = 1.5418 Å (Cu Kα). Input: a structure optimized by DFT (GGA-PBE).
Lines closer than 0.1° are merged.

Crystal structure
Cell lengths 6.5564, 6.5564, 34.9475 Å; angles 90.00, 90.00, 120.00 degrees
Space group R-3m (No. 166, hexagonal axes)
Unique sites:
Y  0.0000  0.0000  0.0000 (multiplicity 3)
Y  0.0043  0.5022  0.4123 (multiplicity 18)
Ho  0.0000  0.0000  0.1665 (multiplicity 6)
Ho  0.0000  0.0000  0.3524 (multiplicity 6)
Ho  0.0000  0.0000  0.4538 (multiplicity 6)

Principal peaks in the range 10 to 90 degrees two-theta, in order of rising 2θ:
Position (°2θ)  d_spacing  intensity
27.20  3.278  91
30.02  2.976  65
31.31  2.857  100
31.62  2.830  41
32.29  2.773  72
34.09  2.630  36
49.86  1.829  31
50.72  1.800  26
51.38  1.778  39
56.11  1.639  40

2.
# PaSnTe3
Theoretical powder X-ray diffraction pattern, λ = 1.5418 Å (Cu Kα). Input: a structure optimized by DFT (GGA-PBE).
Lines closer than 0.1° are merged.

Crystal structure
Cell lengths 7.8838, 4.3488, 12.4185 Å; angles 90.00, 106.21, 90.00 degrees
Space group P2_1/m (No. 11)
Unique sites:
Pa  0.2335  0.2500  0.4262 (multiplicity 2)
Sn  0.1546  0.2500  0.8887 (multiplicity 2)
Te  0.0631  0.2500  0.6301 (multiplicity 2)
Te  0.1093  0.2500  0.1499 (multiplicity 2)
Te  0.4581  0.7500  0.3561 (multiplicity 2)

Principal peaks in the range 10 to 90 degrees two-theta, in order of rising 2θ:
Position (°2θ)  d_spacing  intensity
11.69  7.570  47
11.97  7.393  40
23.59  3.771  100
28.96  3.083  33
29.97  2.981  41
31.33  2.855  64
31.77  2.816  53
36.54  2.459  32
38.81  2.320  42
41.53  2.174  34

3.
# NaMg2F5
Theoretical powder X-ray diffraction pattern, λ = 1.5418 Å (Cu Kα). Input: a structure optimized by DFT (GGA-PBE).
Lines closer than 0.1° are merged.

Crystal structure
Cell lengths 3.8789, 10.3716, 9.9947 Å; angles 90.00, 90.00, 90.00 degrees
Space group Cmcm (No. 63)
Unique sites:
Na  0.0000  0.0836  0.2500 (multiplicity 4)
Mg  0.0000  0.3603  0.0595 (multiplicity 8)
F  0.0000  0.1750  0.5322 (multiplicity 8)
F  0.0000  0.3016  0.2500 (multiplicity 4)
F  0.0000  0.4559  0.6170 (multiplicity 8)

Principal peaks in the range 10 to 90 degrees two-theta, in order of rising 2θ:
Position (°2θ)  d_spacing  intensity
17.75  4.997  60
24.50  3.633  67
26.10  3.415  72
31.93  2.803  68
35.78  2.510  95
43.98  2.059  61
46.84  1.939  100
53.33  1.718  50
57.48  1.603  35
60.31  1.535  50

4.
# K3Cu2Sn7
Theoretical powder X-ray diffraction pattern, λ = 1.5418 Å (Cu Kα). Input: a structure optimized by DFT (GGA-PBE).
Lines closer than 0.1° are merged.

Crystal structure
Cell lengths 6.2249, 4.5597, 13.1283 Å; angles 90.00, 101.80, 90.00 degrees
Space group P2/m (No. 10)
Unique sites:
K  0.0000  0.0000  0.0000 (multiplicity 1)
K  0.2054  0.0000  0.3930 (multiplicity 2)
Cu  0.3421  0.5000  0.1835 (multiplicity 2)
Sn  0.0740  0.5000  0.8057 (multiplicity 2)
Sn  0.3306  0.5000  0.6404 (multiplicity 2)
Sn  0.4220  0.0000  0.8144 (multiplicity 2)
== Here the article continues ==
Jewish Book Council Author Network Talks
Through membership in the Jewish Book Council’s Author Network, FJC brings authors for book talks and book signings. These popular events are free and open to the public.
Hebrew Union College – Jewish Institute of Religion (HUC-JIR) College Commons
FJC belongs to HUC-JIR Los Angeles campus’s lively lifelong learning tool, a series of video courses and podcasts that address timeless and timely topics of Jewish interest. These resources are meant to be used at congregations to promote in-person discussion.
Specialized Classes
Both our professional staff (Rabbi and Director of Lifelong Learning) and visiting scholars lead courses and lectures on a variety of topics.
Special Events (Guest speakers, performances)
FJC hosts guest lecturers, authors, and performers (music, dance, theater) in events that are often open to the public.
FJC Reads (A Community-Wide Book Discussion)
For ten years FJC has offered “FJC Reads,” a congregation-wide reading program that brings members together to discuss a work of fiction or non-fiction of Jewish interest. Past selections have included both fiction and non-fiction, works of obvious Jewish content and others, like Steinbeck’s East of Eden, with biblical connections.
Holiday Learning and Programs
FJC’s calendar is filled year-round with a variety of holiday-related educational and experiential programs, from books discussions to cooking classes, guest speakers, and films with discussions. Every holiday should offer a chance to deepen and refresh our understanding and engagement.
Multigenerational learning and programming
Multigenerational learning and programming continues to be a goal toward which we strive at the FJC. Events that bring our community together in this way include: Purim cabarets, multigenerational Shabbat and holiday dinners, assembling Shaloch Manot at Purim, the Dorot group that meets with our b’nei mitzvah class, guest speakers in Beit Sefer, and Lifelong Learning activities, especially during our thematic programs.
Righter Library
Membership at FJC brings the privilege of access to the many and varied materials in our Righter Library and to other resources available through FJC. We encourage use of:
- The Righter Library (current and classic books, CDs, DVDs, magazines)
- The FJC website (including links to other organizations)
- Learning materials / handouts in the hallway outside the library
- Consultation with the Rabbi and Director of Lifelong Learning